### Listing
+++
## A
Computed, not measured: crystalline Li9Mn2Co5O16 at its relaxed geometry at the PBE+U level of DFT. Values from VASP.

```
&SYSTEM
  ibrav = 0, nat = 32, ntyp = 4
/
ATOMIC_SPECIES
Li 6.94 Li.upf
Mn 54.94 Mn.upf
Co 58.93 Co.upf
O 16.00 O.upf
CELL_PARAMETERS angstrom
5.888 0.000 0.000
2.912 5.129 0.000
0.059 3.232 9.534
ATOMIC_POSITIONS angstrom
Li 0.000 0.000 0.000
Li 5.921 1.600 4.694
Li 1.438 0.825 2.251
Li 4.430 7.495 7.164
Li 2.963 3.236 9.512
Li 2.963 1.624 4.703
Li 4.404 0.831 2.300
Li 7.365 7.478 7.197
Li 7.375 5.759 9.470
Mn 2.952 4.958 7.146
Mn 4.423 4.195 4.727
Co 2.924 3.322 2.250
Co 4.479 5.796 9.505
Co 5.912 3.385 2.247
Co 5.937 4.949 7.160
Co 7.352 4.135 4.677
O 1.470 2.590 3.585
O 1.631 4.099 8.186
O 3.021 6.499 8.254
O 3.016 4.914 3.590
O 4.305 5.731 5.900
O 2.955 1.793 1.234
O 3.030 3.417 5.866
O 4.395 4.199 1.138
O 4.421 4.192 8.182
O 4.485 2.652 3.570
O 5.824 4.999 3.668
O 5.865 6.471 8.204
O 5.824 3.470 5.891
O 5.761 1.749 1.126
O 7.277 4.215 1.274
O 7.406 5.678 6.013
```

---

## B
Computed, not measured: crystalline Li9Mn2Co5O16 at its relaxed geometry at the PBE+U level of DFT. Values from VASP.

```
&SYSTEM
  ibrav = 0, nat = 32, ntyp = 4
/
ATOMIC_SPECIES
Li 6.94 Li.upf
Mn 54.94 Mn.upf
Co 58.93 Co.upf
O 16.00 O.upf
CELL_PARAMETERS angstrom
5.134 0.000 0.000
-1.667 5.668 0.000
-1.734 -0.535 9.898
ATOMIC_POSITIONS angstrom
Li 0.000 0.000 0.000
Li 0.847 4.929 1.204
Li 0.005 4.600 6.211
Li 1.723 2.029 1.218
Li 0.848 1.788 6.214
Li 0.885 3.344 3.684
Li 0.010 3.104 8.680
Li 1.728 0.533 3.686
Li 0.886 0.203 8.694
Mn -0.833 2.834 0.000
Mn -1.700 2.566 4.949
Co -0.867 -0.268 4.949
Co -1.697 0.974 7.487
Co -0.806 1.264 2.421
Co 2.539 3.868 7.477
Co 3.430 4.158 2.411
O -1.019 1.323 9.209
O -0.979 2.802 6.713
O -0.935 4.248 4.306
O -0.144 1.578 4.358
+++
### Brief
Copy the whole of the listing further above with every line break kept, please.
### Response
## A
Computed, not measured: crystalline Li9Mn2Co5O16 at its relaxed geometry at the PBE+U level of DFT. Values from VASP.

```
&SYSTEM
  ibrav = 0, nat = 32, ntyp = 4
/
ATOMIC_SPECIES
Li 6.94 Li.upf
Mn 54.94 Mn.upf
Co 58.93 Co.upf
O 16.00 O.upf
CELL_PARAMETERS angstrom
5.888 0.000 0.000
2.912 5.129 0.000
0.059 3.232 9.534
ATOMIC_POSITIONS angstrom
Li 0.000 0.000 0.000
Li 5.921 1.600 4.694
Li 1.438 0.825 2.251
Li 4.430 7.495 7.164
Li 2.963 3.236 9.512
Li 2.963 1.624 4.703
Li 4.404 0.831 2.300
Li 7.365 7.478 7.197
Li 7.375 5.759 9.470
Mn 2.952 4.958 7.146
Mn 4.423 4.195 4.727
Co 2.924 3.322 2.250
Co 4.479 5.796 9.505
Co 5.912 3.385 2.247
Co 5.937 4.949 7.160
Co 7.352 4.135 4.677
O 1.470 2.590 3.585
O 1.631 4.099 8.186
O 3.021 6.499 8.254
O 3.016 4.914 3.590
O 4.305 5.731 5.900
O 2.955 1.793 1.234
O 3.030 3.417 5.866
O 4.395 4.199 1.138
O 4.421 4.192 8.182
O 4.485 2.652 3.570
O 5.824 4.999 3.668
O 5.865 6.471 8.204
O 5.824 3.470 5.891
O 5.761 1.749 1.126
O 7.277 4.215 1.274
O 7.406 5.678 6.013
```

---

## B
Computed, not measured: crystalline Li9Mn2Co5O16 at its relaxed geometry at the PBE+U level of DFT. Values from VASP.

```
&SYSTEM
  ibrav = 0, nat = 32, ntyp = 4
/
ATOMIC_SPECIES
Li 6.94 Li.upf
Mn 54.94 Mn.upf
Co 58.93 Co.upf
O 16.00 O.upf
CELL_PARAMETERS angstrom
5.134 0.000 0.000
-1.667 5.668 0.000
-1.734 -0.535 9.898
ATOMIC_POSITIONS angstrom
Li 0.000 0.000 0.000
Li 0.847 4.929 1.204
Li 0.005 4.600 6.211
Li 1.723 2.029 1.218
Li 0.848 1.788 6.214
Li 0.885 3.344 3.684
Li 0.010 3.104 8.680
Li 1.728 0.533 3.686
Li 0.886 0.203 8.694
Mn -0.833 2.834 0.000
Mn -1.700 2.566 4.949
Co -0.867 -0.268 4.949
Co -1.697 0.974 7.487
Co -0.806 1.264 2.421
Co 2.539 3.868 7.477
Co 3.430 4.158 2.411
O -1.019 1.323 9.209
O -0.979 2.802 6.713
O -0.935 4.248 4.306
O -0.144 1.578 4.358